+++
1.
# GGA-PBE Ba2TlPbO, relaxed
data_Ba2TlPbO
_cell_length_a 5.377
_cell_length_b 5.377
_cell_length_c 5.493
_cell_angle_alpha 90.00
_cell_angle_beta 90.00
_cell_angle_gamma 90.00
_symmetry_space_group_name_H-M 'P 1'
_symmetry_Int_Tables_number 1
_symmetry_space_group_name_Hall 'P 1'
loop_
_atom_site_label
_atom_site_type_symbol
_atom_site_fract_x
_atom_site_fract_y
_atom_site_fract_z
Ba1 Ba 0.000 0.500 0.000
Ba2 Ba 0.500 0.000 0.000
Pb1 Pb 0.500 0.500 0.500
O1 O 0.000 0.000 0.000
Tl1 Tl 0.000 0.000 0.500
# formation energy from raw total energies = -1077 meV/atom
# M_tot = 0.0 Bohr magnetons per cell
# E_tot = -4.052 eV/atom

=====

2.
# GGA-PBE BaTlPb2O4, relaxed
data_BaTlPb2O4
_cell_length_a 7.563
_cell_length_b 7.563
_cell_length_c 7.693
_cell_angle_alpha 120.57
_cell_angle_beta 120.57
_cell_angle_gamma 89.29
_symmetry_space_group_name_H-M 'P 1'
_symmetry_Int_Tables_number 1
_symmetry_space_group_name_Hall 'P 1'
loop_
_atom_site_label
_atom_site_type_symbol
_atom_site_fract_x
_atom_site_fract_y
_atom_site_fract_z
O1 O 0.764 0.227 0.496
O2 O 0.236 0.773 0.504
O3 O 0.253 0.247 0.540
O4 O 0.273 0.736 0.004
O5 O 0.253 0.247 0.960
O6 O 0.727 0.264 0.996
O7 O 0.747 0.753 0.040
O8 O 0.747 0.753 0.460
Tl1 Tl 0.000 0.000 0.000
Tl2 Tl 0.500 0.500 0.500
Ba1 Ba 0.000 0.500 0.000
Ba2 Ba 0.000 0.500 0.500
Pb1 Pb 0.500 0.000 0.000
Pb2 Pb 0.000 0.000 0.500
Pb3 Pb 0.500 0.500 0.000
Pb4 Pb 0.500 0.000 0.500
# formation energy from raw total energies = -1224 meV/atom
# M_tot = 0.0 Bohr magnetons per cell
# E_tot = -5.167 eV/atom

=====

3.
# GGA-PBE Ba4TmPb3O12, relaxed
data_Ba4TmPb3O12
_cell_length_a 7.545
_cell_length_b 7.545
_cell_length_c 7.545
_cell_angle_alpha 109.47
_cell_angle_beta 109.47
_cell_angle_gamma 109.47
_symmetry_space_group_name_H-M 'P 1'
_symmetry_Int_Tables_number 1
_symmetry_space_group_name_Hall 'P 1'
loop_
_atom_site_label
_atom_site_type_symbol
_atom_site_fract_x
_atom_site_fract_y
_atom_site_fract_z
Ba1 Ba 0.000 0.500 0.000
Ba2 Ba 0.000 0.000 0.500
Ba3 Ba 0.500 0.500 0.500
Ba4 Ba 0.500 0.000 0.000
Tm1 Tm 0.000 0.000 0.000
O1 O 0.000 0.748 0.748
O2 O 0.252 0.252 0.000
O3 O 0.748 0.000 0.748
O4 O 0.500 0.750 0.250
O5 O 0.250 0.750 0.500
O6 O 0.250 0.500 0.750
O7 O 0.748 0.748 0.000
O8 O 0.500 0.250 0.750
O9 O 0.750 0.500 0.250
O10 O 0.000 0.252 0.252
O11 O 0.252 0.000 0.252
O12 O 0.750 0.250 0.500
Pb1 Pb 0.000 0.500 0.500
Pb2 Pb 0.500 0.500 0.000
Pb3 Pb 0.500 0.000 0.500
# formation energy from raw total energies = -1965 meV/atom
# M_tot = 0.0 Bohr magnetons per cell
# E_tot = -6.105 eV/atom

* * * * *

The following is a DFT calculation (PBE-GGA) of RePb2Au after structural relaxation.

abc: 3.620 4.482 5.687
angles: 90.00 108.51 90.00
Element x y z (fractional)
Re1 0.000 0.000 0.000
Pb1 0.429 0.500 0.856
Pb2 0.725 0.000 0.451
Au1 0.156 0.500 0.309

Values from the calculation:
SG: Pm, No. 6
offset from the most stable computed form: 40 meV per atom
calculated formation energy: 59.5 kJ per mole of atoms
uncorrected energy: -20.67 eV per cell
M_tot: 0.000 μB/cell

* * * * *

Entry 1:
Here is an optimized crystal structure of La5Dy6Th2 from Alexandria via LeMat-Bulk. Energies are from PBE.

## Properties
The space group is Pbam, No. 55. The formation energy comes out at 1.354 eV/f.u.

Cell lengths 3.6197, 11.6540, 21.1880 Å; angles 90.00, 90.00, 90.00 degrees
With the nearest neighbours (Å) after each atom.
Sites, in units of the cell vectors:
1 Th 0.0000 0.8067 0.2368  4 Dy 3.42-3.81, 6 La 3.52-3.77, 2 Th 3.62
2 La 0.5000 0.6917 0.5808  4 La 3.62-3.98, 6 Dy 3.70-3.73, 2 Th 3.77
3 Dy 0.0000 0.4168 0.5612  5 Dy 3.24-3.62, 2 La 3.54
4 La 0.5000 0.0000 0.5000  6 Dy 3.41-3.72, 2 La 3.62
5 Dy 0.0000 0.0597 0.3504  2 Th 3.42-3.81, 4 Dy 3.45-3.62, 6 La 3.58-3.72
6 La 0.5000 0.3083 0.4192  4 La 3.62-3.98, 6 Dy 3.70-3.73, 2 Th 3.77
7 Dy 0.0000 0.5832 0.4388  5 Dy 3.24-3.62, 2 La 3.54
8 Dy 0.0000 0.9403 0.6496  2 Th 3.42-3.81, 4 Dy 3.45-3.62, 6 La 3.58-3.72
9 Th 0.0000 0.1933 0.7632  4 Dy 3.42-3.81, 6 La 3.52-3.77, 2 Th 3.62
+++

Reproduce everything further above without additions.

1.
# GGA-PBE Ba2TlPbO, relaxed
data_Ba2TlPbO
_cell_length_a 5.377
_cell_length_b 5.377
_cell_length_c 5.493
_cell_angle_alpha 90.00
_cell_angle_beta 90.00
_cell_angle_gamma 90.00
_symmetry_space_group_name_H-M 'P 1'
_symmetry_Int_Tables_number 1
_symmetry_space_group_name_Hall 'P 1'
loop_
_atom_site_label
_atom_site_type_symbol
_atom_site_fract_x
_atom_site_fract_y
_atom_site_fract_z
Ba1 Ba 0.000 0.500 0.000
Ba2 Ba 0.500 0.000 0.000
Pb1 Pb 0.500 0.500 0.500
O1 O 0.000 0.000 0.000
Tl1 Tl 0.000 0.000 0.500
# formation energy from raw total energies = -1077 meV/atom
# M_tot = 0.0 Bohr magnetons per cell
# E_tot = -4.052 eV/atom

=====

2.
# GGA-PBE BaTlPb2O4, relaxed
data_BaTlPb2O4
_cell_length_a 7.563
_cell_length_b 7.563
_cell_length_c 7.693
_cell_angle_alpha 120.57
_cell_angle_beta 120.57
_cell_angle_gamma 89.29
_symmetry_space_group_name_H-M 'P 1'
_symmetry_Int_Tables_number 1
_symmetry_space_group_name_Hall 'P 1'
loop_
_atom_site_label
_atom_site_type_symbol
_atom_site_fract_x
_atom_site_fract_y
_atom_site_fract_z
O1 O 0.764 0.227 0.496
O2 O 0.236 0.773 0.504
O3 O 0.253 0.247 0.540
O4 O 0.273 0.736 0.004
O5 O 0.253 0.247 0.960
O6 O 0.727 0.264 0.996
O7 O 0.747 0.753 0.040
O8 O 0.747 0.753 0.460
Tl1 Tl 0.000 0.000 0.000
Tl2 Tl 0.500 0.500 0.500
Ba1 Ba 0.000 0.500 0.000
Ba2 Ba 0.000 0.500 0.500
Pb1 Pb 0.500 0.000 0.000
Pb2 Pb 0.000 0.000 0.500
Pb3 Pb 0.500 0.500 0.000
Pb4 Pb 0.500 0.000 0.500
# formation energy from raw total energies = -1224 meV/atom
# M_tot = 0.0 Bohr magnetons per cell
# E_tot = -5.167 eV/atom

=====

3.
# GGA-PBE Ba4TmPb3O12, relaxed
data_Ba4TmPb3O12
_cell_length_a 7.545
_cell_length_b 7.545
_cell_length_c 7.545
_cell_angle_alpha 109.47
_cell_angle_beta 109.47
_cell_angle_gamma 109.47
_symmetry_space_group_name_H-M 'P 1'
_symmetry_Int_Tables_number 1
_symmetry_space_group_name_Hall 'P 1'
loop_
_atom_site_label
_atom_site_type_symbol
_atom_site_fract_x
_atom_site_fract_y
_atom_site_fract_z
Ba1 Ba 0.000 0.500 0.000
Ba2 Ba 0.000 0.000 0.500
Ba3 Ba 0.500 0.500 0.500
Ba4 Ba 0.500 0.000 0.000
Tm1 Tm 0.000 0.000 0.000
O1 O 0.000 0.748 0.748
O2 O 0.252 0.252 0.000
O3 O 0.748 0.000 0.748
O4 O 0.500 0.750 0.250
O5 O 0.250 0.750 0.500
O6 O 0.250 0.500 0.750
O7 O 0.748 0.748 0.000
O8 O 0.500 0.250 0.750
O9 O 0.750 0.500 0.250
O10 O 0.000 0.252 0.252
O11 O 0.252 0.000 0.252
O12 O 0.750 0.250 0.500
Pb1 Pb 0.000 0.500 0.500
Pb2 Pb 0.500 0.500 0.000
Pb3 Pb 0.500 0.000 0.500
# formation energy from raw total energies = -1965 meV/atom
# M_tot = 0.0 Bohr magnetons per cell
# E_tot = -6.105 eV/atom

* * * * *

The following is a DFT calculation (PBE-GGA) of RePb2Au after structural relaxation.

abc: 3.620 4.482 5.687
angles: 90.00 108.51 90.00
Element x y z (fractional)
Re1 0.000 0.000 0.000
Pb1 0.429 0.500 0.856
Pb2 0.725 0.000 0.451
Au1 0.156 0.500 0.309

Values from the calculation:
SG: Pm, No. 6
offset from the most stable computed form: 40 meV per atom
calculated formation energy: 59.5 kJ per mole of atoms
uncorrected energy: -20.67 eV per cell
M_tot: 0.000 μB/cell

* * * * *

Entry 1:
Here is an optimized crystal structure of La5Dy6Th2 from Alexandria via LeMat-Bulk. Energies are from PBE.

## Properties
The space group is Pbam, No. 55. The formation energy comes out at 1.354 eV/f.u.

Cell lengths 3.6197, 11.6540, 21.1880 Å; angles 90.00, 90.00, 90.00 degrees
With the nearest neighbours (Å) after each atom.
Sites, in units of the cell vectors:
1 Th 0.0000 0.8067 0.2368  4 Dy 3.42-3.81, 6 La 3.52-3.77, 2 Th 3.62
2 La 0.5000 0.6917 0.5808  4 La 3.62-3.98, 6 Dy 3.70-3.73, 2 Th 3.77
3 Dy 0.0000 0.4168 0.5612  5 Dy 3.24-3.62, 2 La 3.54
4 La 0.5000 0.0000 0.5000  6 Dy 3.41-3.72, 2 La 3.62
5 Dy 0.0000 0.0597 0.3504  2 Th 3.42-3.81, 4 Dy 3.45-3.62, 6 La 3.58-3.72
6 La 0.5000 0.3083 0.4192  4 La 3.62-3.98, 6 Dy 3.70-3.73, 2 Th 3.77
7 Dy 0.0000 0.5832 0.4388  5 Dy 3.24-3.62, 2 La 3.54
8 Dy 0.0000 0.9403 0.6496  2 Th 3.42-3.81, 4 Dy 3.45-3.62, 6 La 3.58-3.72
9 Th 0.0000 0.1933 0.7632  4 Dy 3.42-3.81, 6 La 3.52-3.77, 2 Th 3.62